Entries >
'''
# 1
A plane-wave DFT calculation with PBE-GGA was carried out for an optimized crystal structure of CoNiOs2.

Geometry as POSCAR:
```
CoNiOs2
1.0
2.682 0.000 0.000
0.000 2.682 0.000
0.000 0.000 7.093
Co Ni Os
1 1 2
Cartesian
0.000 0.000 0.000 Co
1.341 1.341 1.633 Ni
0.000 0.000 3.432 Os
1.341 1.341 5.331 Os
```

The calculation puts the total energy at -8.65 eV/atom. The energy above the most stable polymorph in this dataset is 59 meV per atom. The calculated volume comes out at 12.8 A^3/atom. The symmetry is P4mm. As for the formation energy: 71 kJ/mol of formula units.

# 2
A plane-wave DFT calculation with PBE-GGA was carried out for an optimized crystal structure of CoNiOs2.

Geometry as POSCAR:
```
CoNiOs2
1.0
4.299 0.000 0.000
0.000 4.299 0.000
0.000 0.000 2.733
Co Ni Os
1 1 2
Cartesian
0.000 0.000 0.000 Co
2.150 2.150 0.000 Ni
0.000 2.150 1.366 Os
2.150 0.000 1.366 Os
```

The calculation puts the total energy at -8.48 eV/atom. The energy above the most stable polymorph in this dataset is 235 meV per atom. The calculated volume comes out at 12.6 A^3/atom. The symmetry is P4/mmm. As for the formation energy: 139 kJ/mol of formula units.

# 3
A plane-wave DFT calculation with PBE-GGA was carried out for an optimized crystal structure of CoNiOs2.

Geometry as POSCAR:
```
CoNiOs2
1.0
5.869 0.000 0.000
0.000 5.869 0.000
0.000 0.000 5.869
Co Ni Os
4 4 8
Cartesian
0.000 0.000 0.000 Co
0.000 2.934 2.934 Co
2.934 0.000 2.934 Co
2.934 2.934 0.000 Co
0.000 0.000 2.934 Ni
0.000 2.934 0.000 Ni
2.934 0.000 0.000 Ni
2.934 2.934 2.934 Ni
1.467 1.467 1.467 Os
1.467 1.467 4.402 Os
1.467 4.402 1.467 Os
1.467 4.402 4.402 Os
4.402 1.467 1.467 Os
4.402 1.467 4.402 Os
4.402 4.402 1.467 Os
4.402 4.402 4.402 Os
```

The calculation puts the total energy at -8.47 eV/atom. The energy above the most stable polymorph in this dataset is 243 meV per atom. The calculated volume comes out at 12.6 A^3/atom. The symmetry is Fm-3m. As for the formation energy: 142 kJ/mol of formula units.

- Number 3 is which compound?
  CoNiOs2
'''

Job >
Filter the data further above: keep the lines with the word "CoNiOs2".

Worked solution >
A plane-wave DFT calculation with PBE-GGA was carried out for an optimized crystal structure of CoNiOs2.
CoNiOs2
A plane-wave DFT calculation with PBE-GGA was carried out for an optimized crystal structure of CoNiOs2.
CoNiOs2
A plane-wave DFT calculation with PBE-GGA was carried out for an optimized crystal structure of CoNiOs2.
CoNiOs2
  CoNiOs2